• Listing:
-- begin --
[1]
The following is a DFT calculation (GGA+U) of a relaxed structure of Ba2CoWO6.

Summary:
The energy relative to the elements is -2.568 eV per atom. As for the space-group type: I4/mmm, No. 139. Its total energy is -6.91 eV per atom.

Geometry as CIF:
```
data_Ba2CoWO6
_chemical_formula_sum 'Ba2 Co1 W1 O6'
_space_group_name_H-M_alt 'P 1'
_space_group_IT_number 1
_cell_length_a 5.862
_cell_length_b 5.862
_cell_length_c 5.862
_cell_angle_alpha 121.19
_cell_angle_beta 121.19
_cell_angle_gamma 87.95
loop_
_space_group_symop_operation_xyz
'x,y,z'
loop_
_atom_site_label
_atom_site_type_symbol
_atom_site_fract_x
_atom_site_fract_y
_atom_site_fract_z
Ba1 Ba 0.250 0.750 0.500
Ba2 Ba 0.750 0.250 0.500
Co1 Co 0.000 0.000 0.000
W1 W 0.500 0.500 0.000
O1 O 0.259 0.259 0.517
O2 O 0.259 0.741 0.000
O3 O 0.268 0.268 0.000
O4 O 0.732 0.732 0.000
O5 O 0.741 0.259 0.000
O6 O 0.741 0.741 0.483
```



[2]
The following is a DFT calculation (GGA+U) of a relaxed structure of Co3BPO7.

Summary:
The energy relative to the elements is -1.946 eV per atom. As for the space-group type: P1, No. 1. The energy above the most stable polymorph in this dataset comes out at 1.550 eV/f.u. Its total energy is -6.81 eV per atom.

Geometry as CIF:
```
data_Co3BPO7
_chemical_formula_sum 'Co6 B2 P2 O14'
_space_group_name_H-M_alt 'P 1'
_space_group_IT_number 1
_cell_length_a 4.939
_cell_length_b 8.076
_cell_length_c 8.083
_cell_angle_alpha 64.40
_cell_angle_beta 72.53
_cell_angle_gamma 72.33
loop_
_space_group_symop_operation_xyz
'x,y,z'
loop_
_atom_site_label
_atom_site_type_symbol
_atom_site_fract_x
_atom_site_fract_y
_atom_site_fract_z
Co1 Co 0.000 0.000 0.000
Co2 Co 0.076 0.558 0.214
Co3 Co 0.364 0.271 0.928
Co4 Co 0.500 0.494 0.503
Co5 Co 0.646 0.038 0.669
Co6 Co 0.869 0.820 0.446
B1 B 0.042 0.289 0.630
B2 B 0.475 0.852 0.196
P1 P 0.251 0.741 0.750
P2 P 0.692 0.280 0.209
O1 O 0.062 0.882 0.603
O2 O 0.091 0.747 0.944
O3 O 0.134 0.443 0.485
O4 O 0.203 0.817 0.220
O5 O 0.227 0.158 0.750
O6 O 0.295 0.543 0.745
O7 O 0.411 0.360 0.126
O8 O 0.553 0.792 0.697
O9 O 0.574 0.998 0.040
O10 O 0.650 0.734 0.327
O11 O 0.661 0.098 0.385
O12 O 0.747 0.428 0.261
O13 O 0.760 0.265 0.664
O14 O 0.948 0.232 0.058
```



[3]
The following is a DFT calculation (GGA+U) of a relaxed structure of K2VOF4.

Summary:
The energy relative to the elements is -3.017 eV per atom. As for the space-group type: Pna2_1, No. 33. Its total energy is -5.48 eV per atom.

Geometry as CIF:
```
data_K2VOF4
_chemical_formula_sum 'K8 V4 O4 F16'
_space_group_name_H-M_alt 'P 1'
_space_group_IT_number 1
_cell_length_a 7.555
_cell_length_b 11.683
_cell_length_c 5.761
_cell_angle_alpha 90.00
_cell_angle_beta 90.00
_cell_angle_gamma 90.00
loop_
_space_group_symop_operation_xyz
'x,y,z'
loop_
_atom_site_label
_atom_site_type_symbol
_atom_site_fract_x
_atom_site_fract_y
_atom_site_fract_z
K1 K 0.012 0.225 0.000
K2 K 0.168 0.411 0.500
K3 K 0.332 0.911 0.000
K4 K 0.488 0.725 0.500
K5 K 0.512 0.275 0.000
K6 K 0.668 0.089 0.500
K7 K 0.832 0.589 0.000
K8 K 0.988 0.775 0.500
V1 V 0.182 0.065 0.479
V2 V 0.318 0.565 0.979
V3 V 0.682 0.435 0.479
V4 V 0.818 0.935 0.979
O1 O 0.187 0.613 0.769
O2 O 0.313 0.113 0.269
O3 O 0.687 0.887 0.769
O4 O 0.813 0.387 0.269
F1 F 0.006 0.000 0.774
F2 F 0.028 0.196 0.518
F3 F 0.180 0.611 0.246
F4 F 0.225 0.409 0.013
F5 F 0.275 0.909 0.513
F6 F 0.320 0.111 0.746
F7 F 0.472 0.696 0.018
F8 F 0.494 0.500 0.274
F9 F 0.506 0.500 0.774
F10 F 0.528 0.304 0.518
F11 F 0.680 0.889 0.246
F12 F 0.725 0.091 0.013
F13 F 0.775 0.591 0.513
F14 F 0.820 0.389 0.746
F15 F 0.972 0.804 0.018
F16 F 0.994 0.000 0.274
```



[4]
The following is a DFT calculation (GGA+U) of a relaxed structure of CoF3.

Summary:
The energy relative to the elements is -1.907 eV per atom. As for the space-group type: P321, No. 150. Its total energy is -4.36 eV per atom.

Geometry as CIF:
```
data_CoF3
_chemical_formula_sum 'Co3 F9'
_space_group_name_H-M_alt 'P 1'
_space_group_IT_number 1
_cell_length_a 5.116
_cell_length_b 5.116
-- stop --

• What to do:
Now filter the material earlier on: keep the lines with the word "O1".

• Result:
O1 O 0.259 0.259 0.517
O1 O 0.062 0.882 0.603
O1 O 0.187 0.613 0.769